Brief >
Give back all of the material underneath unchanged.
Listing >
/*
(1)
74
Properties=species:S:1:pos:R:3 method="wB97M-V/def2-TZVPD" e_tot_ev=-59563.03651 total_charge=+2 multiplicity=3 relative_energy_kcal_mol=0.0 mol_weight_g_mol=626.88 lumo_energy_ev="-6.09 / -6.99" homo_lumo_gap_ha="0.29720 / 0.27139" e_homo_ev="-14.18 / -14.37"
W -0.053 -0.181 1.262
C -0.720 -2.023 2.357
C 0.663 -2.135 1.930
C 0.528 -0.534 3.622
C -0.776 -1.064 3.419
C 1.426 -1.189 2.714
C -1.861 -2.892 1.940
H -1.581 -3.506 1.082
H -2.751 -2.296 1.688
H -2.147 -3.563 2.769
C -1.973 -0.815 4.270
H -2.899 -0.854 3.688
H -1.925 0.145 4.785
H -2.062 -1.585 5.050
C 0.948 0.407 4.700
H 1.366 -0.149 5.556
H 0.104 0.992 5.083
H 1.727 1.104 4.360
C 2.918 -1.111 2.765
H 3.300 -1.727 3.598
H 3.273 -0.082 2.933
H 3.353 -1.497 1.836
C 1.260 -3.217 1.088
H 1.709 -3.988 1.732
H 2.052 -2.821 0.443
H 0.490 -3.696 0.473
C -1.772 0.997 -3.487
C -1.919 -0.345 -3.381
C -1.194 -1.326 -4.262
C 0.313 -1.008 -4.453
C 0.999 -0.401 -3.266
C 1.253 0.935 -3.182
C 0.572 2.001 -4.008
C -0.888 1.695 -4.472
H -1.688 -1.366 -5.252
H 0.446 -0.374 -5.341
H -1.298 -2.340 -3.838
H -0.864 1.149 -5.424
H -2.471 1.654 -2.956
H -2.750 -0.761 -2.810
H -1.367 2.666 -4.670
H 0.558 2.962 -3.459
H 2.154 1.257 -2.672
H 1.182 2.197 -4.905
H 0.818 -1.960 -4.668
H 1.547 -1.106 -2.634
P -1.615 0.328 -0.381
P 1.682 1.470 0.620
C -0.612 1.719 -1.084
C 0.647 2.434 -0.517
H -1.350 2.502 -1.342
H -0.256 1.200 -1.982
H 1.302 2.753 -1.349
H 0.315 3.349 -0.011
C 2.394 2.644 1.779
H 2.766 2.099 2.652
H 1.633 3.353 2.114
H 3.223 3.200 1.326
C 3.037 0.655 -0.253
H 3.438 1.298 -1.043
H 2.704 -0.287 -0.699
H 3.833 0.419 0.461
C -3.373 0.409 -0.447
H -3.778 -0.392 0.184
H -3.768 0.288 -1.461
H -3.712 1.361 -0.029
C -0.889 -1.268 -0.915
H 0.004 -1.629 -0.348
H -0.503 -1.167 -1.927
H -1.634 -2.069 -0.895
Cl -1.749 2.911 1.472
C -1.151 1.423 2.249
H -0.545 1.765 3.103
H -2.041 0.982 2.720

(2)
26
Properties=species:S:1:pos:R:3 method="wB97M-V/def2-TZVPD" e_tot_ev=-50924.54730 total_charge=0 multiplicity=5 relative_energy_kcal_mol=106.1 mol_weight_g_mol=287.95 lumo_energy_ev="-0.01 / 0.26" homo_lumo_gap_ha="0.24727 / 0.30979" e_homo_ev="-6.74 / -8.17"
C -1.415 1.686 -1.067
C 1.540 2.258 0.034
H -1.104 1.343 -2.078
H -1.099 2.751 -0.919
H -2.392 1.265 -0.855
H 2.175 2.330 -0.891
H 0.940 3.240 0.072
H 2.126 1.890 0.905
Fe 0.081 0.996 -0.233
C 1.598 -0.121 -1.081
H 1.460 0.149 -2.156
H 1.520 -1.222 -1.044
H 2.588 0.168 -0.655
I -0.864 1.719 1.882
N -1.174 -0.764 -0.552
C -1.463 -1.785 0.506
C -0.137 -2.176 1.128
N 0.626 -0.952 1.475
H -2.069 -0.354 -0.831
H -0.813 -1.251 -1.372
H -2.117 -1.303 1.247
H -1.960 -2.648 0.034
H -0.354 -2.762 2.034
H 0.476 -2.743 0.412
H 0.218 -0.603 2.345
H 1.615 -1.110 1.659

=====

# 1
A molecular structure, C31H26I2N4O3PSn. Source: the Open Molecules 2025 dataset; level of theory: wB97M-V/def2-TZVPD.

```
68
C31H26I2N4O3PSn, DFT wB97M-V/def2-TZVPD
Sn 0.31 -1.10 0.99
C 2.14 -1.56 5.50
C 1.92 -1.04 4.11
N 0.82 -0.54 3.72
O -0.14 -0.58 4.68
C 3.05 -1.05 3.14
C 4.48 -1.12 3.61
N 2.81 -1.01 1.86
O 3.53 -0.93 0.89
H 1.22 -1.97 5.88
H 2.44 -0.75 6.17
H 2.92 -2.32 5.51
H -0.87 -0.10 4.23
H 4.61 -0.54 4.52
H 5.13 -0.73 2.83
H 4.76 -2.16 3.80
I -3.12 2.58 2.46
C -3.47 0.59 1.98
C -4.79 0.08 1.98
C -5.03 -1.24 1.74
I -6.99 -1.93 1.85
C -3.96 -2.11 1.45
C -4.07 -3.50 1.16
C -2.96 -4.25 0.90
C -1.71 -3.63 0.89
N -1.57 -2.35 1.15
C -2.66 -1.58 1.44
C -2.39 -0.22 1.74
O -1.11 0.17 1.79
H -5.61 0.75 2.18
H -5.05 -3.95 1.15
H -3.04 -5.31 0.69
H -0.81 -4.19 0.65
N -0.09 -0.74 -0.89
P 0.32 0.53 -1.78
C -0.90 1.85 -1.71
C -0.59 3.21 -1.71
C -1.61 4.15 -1.70
C -2.94 3.74 -1.71
C -3.25 2.38 -1.74
C -2.24 1.44 -1.73
C 0.38 0.05 -3.50
C 0.19 -1.29 -3.86
C 0.23 -1.65 -5.20
C 0.48 -0.69 -6.17
C 0.67 0.64 -5.81
C 0.62 1.01 -4.48
C 1.93 1.23 -1.34
C 2.02 2.10 -0.24
C 3.26 2.58 0.15
C 4.41 2.18 -0.52
C 4.32 1.29 -1.59
C 3.08 0.82 -2.01
H 0.44 3.54 -1.72
H -1.37 5.20 -1.69
H -3.73 4.48 -1.71
H -4.29 2.07 -1.77
H -2.48 0.38 -1.74
H 0.01 -2.02 -3.09
H 0.08 -2.68 -5.49
H 0.52 -0.98 -7.22
*/
Worked solution >
(1)
74
Properties=species:S:1:pos:R:3 method="wB97M-V/def2-TZVPD" e_tot_ev=-59563.03651 total_charge=+2 multiplicity=3 relative_energy_kcal_mol=0.0 mol_weight_g_mol=626.88 lumo_energy_ev="-6.09 / -6.99" homo_lumo_gap_ha="0.29720 / 0.27139" e_homo_ev="-14.18 / -14.37"
W -0.053 -0.181 1.262
C -0.720 -2.023 2.357
C 0.663 -2.135 1.930
C 0.528 -0.534 3.622
C -0.776 -1.064 3.419
C 1.426 -1.189 2.714
C -1.861 -2.892 1.940
H -1.581 -3.506 1.082
H -2.751 -2.296 1.688
H -2.147 -3.563 2.769
C -1.973 -0.815 4.270
H -2.899 -0.854 3.688
H -1.925 0.145 4.785
H -2.062 -1.585 5.050
C 0.948 0.407 4.700
H 1.366 -0.149 5.556
H 0.104 0.992 5.083
H 1.727 1.104 4.360
C 2.918 -1.111 2.765
H 3.300 -1.727 3.598
H 3.273 -0.082 2.933
H 3.353 -1.497 1.836
C 1.260 -3.217 1.088
H 1.709 -3.988 1.732
H 2.052 -2.821 0.443
H 0.490 -3.696 0.473
C -1.772 0.997 -3.487
C -1.919 -0.345 -3.381
C -1.194 -1.326 -4.262
C 0.313 -1.008 -4.453
C 0.999 -0.401 -3.266
C 1.253 0.935 -3.182
C 0.572 2.001 -4.008
C -0.888 1.695 -4.472
H -1.688 -1.366 -5.252
H 0.446 -0.374 -5.341
H -1.298 -2.340 -3.838
H -0.864 1.149 -5.424
H -2.471 1.654 -2.956
H -2.750 -0.761 -2.810
H -1.367 2.666 -4.670
H 0.558 2.962 -3.459
H 2.154 1.257 -2.672
H 1.182 2.197 -4.905
H 0.818 -1.960 -4.668
H 1.547 -1.106 -2.634
P -1.615 0.328 -0.381
P 1.682 1.470 0.620
C -0.612 1.719 -1.084
C 0.647 2.434 -0.517
H -1.350 2.502 -1.342
H -0.256 1.200 -1.982
H 1.302 2.753 -1.349
H 0.315 3.349 -0.011
C 2.394 2.644 1.779
H 2.766 2.099 2.652
H 1.633 3.353 2.114
H 3.223 3.200 1.326
C 3.037 0.655 -0.253
H 3.438 1.298 -1.043
H 2.704 -0.287 -0.699
H 3.833 0.419 0.461
C -3.373 0.409 -0.447
H -3.778 -0.392 0.184
H -3.768 0.288 -1.461
H -3.712 1.361 -0.029
C -0.889 -1.268 -0.915
H 0.004 -1.629 -0.348
H -0.503 -1.167 -1.927
H -1.634 -2.069 -0.895
Cl -1.749 2.911 1.472
C -1.151 1.423 2.249
H -0.545 1.765 3.103
H -2.041 0.982 2.720

(2)
26
Properties=species:S:1:pos:R:3 method="wB97M-V/def2-TZVPD" e_tot_ev=-50924.54730 total_charge=0 multiplicity=5 relative_energy_kcal_mol=106.1 mol_weight_g_mol=287.95 lumo_energy_ev="-0.01 / 0.26" homo_lumo_gap_ha="0.24727 / 0.30979" e_homo_ev="-6.74 / -8.17"
C -1.415 1.686 -1.067
C 1.540 2.258 0.034
H -1.104 1.343 -2.078
H -1.099 2.751 -0.919
H -2.392 1.265 -0.855
H 2.175 2.330 -0.891
H 0.940 3.240 0.072
H 2.126 1.890 0.905
Fe 0.081 0.996 -0.233
C 1.598 -0.121 -1.081
H 1.460 0.149 -2.156
H 1.520 -1.222 -1.044
H 2.588 0.168 -0.655
I -0.864 1.719 1.882
N -1.174 -0.764 -0.552
C -1.463 -1.785 0.506
C -0.137 -2.176 1.128
N 0.626 -0.952 1.475
H -2.069 -0.354 -0.831
H -0.813 -1.251 -1.372
H -2.117 -1.303 1.247
H -1.960 -2.648 0.034
H -0.354 -2.762 2.034
H 0.476 -2.743 0.412
H 0.218 -0.603 2.345
H 1.615 -1.110 1.659

=====

# 1
A molecular structure, C31H26I2N4O3PSn. Source: the Open Molecules 2025 dataset; level of theory: wB97M-V/def2-TZVPD.

```
68
C31H26I2N4O3PSn, DFT wB97M-V/def2-TZVPD
Sn 0.31 -1.10 0.99
C 2.14 -1.56 5.50
C 1.92 -1.04 4.11
N 0.82 -0.54 3.72
O -0.14 -0.58 4.68
C 3.05 -1.05 3.14
C 4.48 -1.12 3.61
N 2.81 -1.01 1.86
O 3.53 -0.93 0.89
H 1.22 -1.97 5.88
H 2.44 -0.75 6.17
H 2.92 -2.32 5.51
H -0.87 -0.10 4.23
H 4.61 -0.54 4.52
H 5.13 -0.73 2.83
H 4.76 -2.16 3.80
I -3.12 2.58 2.46
C -3.47 0.59 1.98
C -4.79 0.08 1.98
C -5.03 -1.24 1.74
I -6.99 -1.93 1.85
C -3.96 -2.11 1.45
C -4.07 -3.50 1.16
C -2.96 -4.25 0.90
C -1.71 -3.63 0.89
N -1.57 -2.35 1.15
C -2.66 -1.58 1.44
C -2.39 -0.22 1.74
O -1.11 0.17 1.79
H -5.61 0.75 2.18
H -5.05 -3.95 1.15
H -3.04 -5.31 0.69
H -0.81 -4.19 0.65
N -0.09 -0.74 -0.89
P 0.32 0.53 -1.78
C -0.90 1.85 -1.71
C -0.59 3.21 -1.71
C -1.61 4.15 -1.70
C -2.94 3.74 -1.71
C -3.25 2.38 -1.74
C -2.24 1.44 -1.73
C 0.38 0.05 -3.50
C 0.19 -1.29 -3.86
C 0.23 -1.65 -5.20
C 0.48 -0.69 -6.17
C 0.67 0.64 -5.81
C 0.62 1.01 -4.48
C 1.93 1.23 -1.34
C 2.02 2.10 -0.24
C 3.26 2.58 0.15
C 4.41 2.18 -0.52
C 4.32 1.29 -1.59
C 3.08 0.82 -2.01
H 0.44 3.54 -1.72
H -1.37 5.20 -1.69
H -3.73 4.48 -1.71
H -4.29 2.07 -1.77
H -2.48 0.38 -1.74
H 0.01 -2.02 -3.09
H 0.08 -2.68 -5.49
H 0.52 -0.98 -7.22